It was highlighted in the debate that the lack of support and recognition for dads is largely a product of history but one which continues to reflect and reinforce cultural assumptions about traditional gender roles. By redressing that balance, not only does this allow dads to spend more time with their children, but research from countries such as Iceland, Slovenia, Sweden, Finland and Norway demonstrates that a higher level of paternity leave correlates with a higher level of gender equality in those countries.
Of course, as was recognised by the debate, the current system of paternity leave and, indeed, shared parental leave are reserved issues for Westminster, where the case for change is also being made. In March 2018 the Women and Equalities Select Committee argued that dads should get the option of 12 weeks' paid "use it or lose it" paternity leave, to try and encourage greater male involvement in the young lives of children. The committee chair, Maria Miller, highlighted that parental leave and the gender pay gap were closely linked, commenting "Until we get it right for dads, we can't get it right for mums".
As such, given the continuing interest in improving the lives of working families in this way, what positive signs are there of change on the horizon?
The UK Government's response to the Committee in June 2018 was that there was a "broad based debate" to be had on improving rights, based on good quality information gathering about the way existing entitlements were used in practice. A commitment was given to gather more information this year from employers relating to the take-up of paternity leave and whether employers opt to pay this above the statutory minimum. It pointed out that its review of shared parental leave (SPL) and pay was already underway and the findings there would be used to consider whether and how the present system of SPL may need to be reformed. Options to be considered "may include the consideration of a dedicated period of leave for fathers and partners."
It is not difficult to find critics of the current system of SPL. The take-up rate was estimated early in 2018 as being embarrassingly low, at around 2%.
While the UK Government, in response, launched a publicity campaign "Share the Joy" to raise awareness of SPL among parents, survey evidence gathered by Working Families had already made clear that this was only one aspect of the problem. That evidence suggests perhaps the most significant issue is that one third of fathers simply cannot afford to take SPL (the rate of Shared Paternity Pay currently being £145.18 per week).
• Someone pasted calculated crystals at this point:
/*
Entry 1:
GeTePdO | PBE | relaxed

Lattice parameters (Å, degrees): 5.887 8.600 6.240 90.00 90.00 90.00
Element x y z (fractional)
Ge (0.904, 0.181, 0.125)
Ge (0.404, 0.819, 0.125)
Ge (0.596, 0.181, 0.625)
Ge (0.096, 0.819, 0.625)
O (0.328, 0.015, 0.125)
O (0.828, 0.985, 0.125)
O (0.172, 0.015, 0.625)
O (0.672, 0.985, 0.625)
Pd (0.250, 0.194, 0.375)
Pd (0.750, 0.806, 0.375)
Pd (0.250, 0.194, 0.875)
Pd (0.750, 0.806, 0.875)
Te (0.499, 0.371, 0.125)
Te (0.999, 0.629, 0.125)
Te (0.001, 0.371, 0.625)
Te (0.501, 0.629, 0.625)

Calculated values
Energy above the lowest structure with this stoichiometry: 314 meV/atom

Entry 2:
KSrNdSe3 | PBE | relaxed

Lattice parameters (Å, degrees): 10.388 10.388 12.193 90.00 90.00 155.09
Element x y z (fractional)
K (0.125, 0.875, 0.250)
K (0.875, 0.125, 0.750)
Nd (0.500, 0.500, 0.000)
Nd (0.500, 0.500, 0.500)
Se (0.901, 0.099, 0.008)
Se (0.506, 0.494, 0.250)
Se (0.901, 0.099, 0.492)
Se (0.099, 0.901, 0.508)
Se (0.494, 0.506, 0.750)
Se (0.099, 0.901, 0.992)
Sr (0.909, 0.091, 0.250)
Sr (0.091, 0.909, 0.750)

Calculated values
Electronic total energy: -4.5971 eV per atom

Entry 3:
AgOsSeO | PBE | relaxed

Lattice parameters (Å, degrees): 4.784 5.265 11.082 88.89 90.00 90.00
Element x y z (fractional)
Ag (0.718, 0.920, 0.434)
Ag (0.212, 0.593, 0.442)
Ag (0.712, 0.407, 0.558)
Ag (0.218, 0.080, 0.566)
O (0.884, 0.619, 0.015)
O (0.893, 0.107, 0.041)
O (0.393, 0.893, 0.959)
O (0.384, 0.381, 0.985)
Os (0.282, 0.088, 0.108)
Os (0.668, 0.399, 0.123)
Os (0.168, 0.601, 0.877)
Os (0.782, 0.912, 0.892)
Se (0.449, 0.747, 0.229)
Se (0.994, 0.261, 0.278)
Se (0.494, 0.739, 0.722)
Se (0.949, 0.253, 0.771)

Calculated values
Energy above the lowest structure with this stoichiometry: 0 meV/atom

Entry 4:
TmScFe2Ge2C | PBE | relaxed

Lattice parameters (Å, degrees): 5.573 5.573 6.598 125.16 125.16 40.67
Element x y z (fractional)
C (0.998, 0.998, 0.992)
Fe (0.198, 0.198, 0.092)
Fe (0.801, 0.801, 0.907)
Ge (0.842, 0.842, 0.305)
Ge (0.159, 0.159, 0.700)
Sc (0.444, 0.444, 0.717)
Tm (0.558, 0.558, 0.287)

Calculated values
Electronic total energy: -7.1337 eV per atom

Entry 5:
TaGeOs2 | PBE | relaxed

Lattice parameters (Å, degrees): 4.448 4.448 4.448 60.00 60.00 60.00
Element x y z (fractional)
Ge (0.500, 0.500, 0.500)
Os (0.000, 0.000, 0.000)
Os (0.750, 0.750, 0.750)
Ta (0.250, 0.250, 0.250)

Calculated values
Electronic total energy: -9.3974 eV per atom

Entry 6:
Cu | PBE | relaxed

Lattice parameters (Å, degrees): 2.524 2.524 32.067 90.00 90.00 120.00
Element x y z (fractional)
Cu (0.333, 0.667, 0.240)
Cu (0.000, 0.000, 0.305)
Cu (0.667, 0.333, 0.370)
Cu (0.333, 0.667, 0.435)
Cu (0.000, 0.000, 0.500)
Cu (0.667, 0.333, 0.565)
Cu (0.333, 0.667, 0.630)
Cu (0.000, 0.000, 0.695)
Cu (0.667, 0.333, 0.760)

Calculated values
Energy above the lowest structure with this stoichiometry: 106 meV/atom

Entry 7:
DyBr2 | PBE | relaxed

Lattice parameters (Å, degrees): 6.241 6.241 6.241 60.00 60.00 60.00
Each line ends with the local moment (μB).
*/
It remains to be seen whether the evidence-gathering this year will lead to the much-needed reform being called for. In the meantime, the UK Government's earlier plans to extend SPL to grandparents appears to have been placed on permanent hold, there being little point rolling out the current, unloved, system more widely.
These calculated crystals were left in the text by mistake =
********
DFT (GGA-PBE) results for a geometry-optimized Sb2TeMoOs structure.

POSCAR file:
```
Sb2TeMoOs
1.0
-1.387 4.789 -1.431
-2.567 0.592 4.468
4.225 1.875 2.179
Sb Mo Te Os
2 1 1 1
direct
0.000 0.500 0.000
0.500 0.000 0.000
0.000 0.000 0.000
0.000 0.000 0.500
0.500 0.500 0.500
```

Calculated values
**SG**: No. 123
**Energy**: -25.81 eV/cell
**Polymorph energy (0 for the lowest one)**: 0.281 eV/atom

DFT (GGA-PBE) results for a geometry-optimized ScMoOs structure.

POSCAR file:
```
ScMoOs
1.0
4.499 0.000 0.000
0.000 4.481 0.000
-2.250 0.000 4.869
Mo Sc Os
2 2 2
direct
0.586 0.250 0.173
0.414 0.750 0.827
0.909 0.250 0.818
0.091 0.750 0.182
0.247 0.250 0.494
0.753 0.750 0.506
```

Calculated values
**Formation enthalpy at 0 K**: -0.124 eV per atom
**SG**: No. 63
**Energy**: -57.53 eV/cell
**Polymorph energy (0 for the lowest one)**: 0.141 eV/atom

DFT (GGA-PBE) results for a geometry-optimized ScMo2Os2 structure.

POSCAR file:
```
ScMo2Os2
1.0
-3.230 -5.357 4.429
1.273 -5.258 -5.430
2.544 -0.578 1.156
Sc Mo Os
2 4 4
direct
0.000 0.000 0.000
0.500 0.500 0.000
0.350 0.850 0.000
0.850 0.650 0.000
0.650 0.150 0.000
0.150 0.350 0.000
0.144 0.644 0.500
0.644 0.856 0.500
0.856 0.356 0.500
0.356 0.144 0.500
```

Calculated values
**Formation enthalpy at 0 K**: 0.084 eV per atom
**SG**: No. 127
**Energy**: -100.07 eV/cell
**Polymorph energy (0 for the lowest one)**: 0.048 eV/atom

DFT (GGA-PBE) results for a geometry-optimized Sc3MoOs structure.

POSCAR file:
```
Sc3MoOs
1.0
-2.355 -3.988 -1.826
3.628 -0.606 -3.355
2.465 -2.917 3.193
Sc Mo Os
3 1 1
direct
0.000 0.500 0.000
0.000 0.000 0.500
0.500 0.000 0.000
0.500 0.500 0.500
0.000 0.000 0.000
```

Calculated values
**Formation enthalpy at 0 K**: 0.583 eV per atom
**SG**: No. 221
**Energy**: -38.14 eV/cell
**Polymorph energy (0 for the lowest one)**: 0.000 eV/atom

DFT (GGA-PBE) results for a geometry-optimized Sc3MoOs structure.

POSCAR file:
```
Sc3MoOs
1.0
-0.347 1.924 4.363
-4.546 1.188 -0.886
-1.441 -4.212 1.743
Sc Mo Os
3 1 1
direct
0.000 0.500 0.000
0.000 0.000 0.500
0.500 0.000 0.000
0.000 0.000 0.000
0.500 0.500 0.500
```

Calculated values
**Formation enthalpy at 0 K**: 1.028 eV per atom
**SG**: No. 221
**Energy**: -35.92 eV/cell
**Polymorph energy (0 for the lowest one)**: 0.444 eV/atom

DFT (GGA-PBE) results for a geometry-optimized ScMoOs structure.

POSCAR file:
```
ScMoOs
1.0
-2.189 -3.709 1.015
2.444 0.189 -3.683
4.625 -1.917 2.970
Sc Mo Os
2 2 2
direct
0.333 0.667 0.909
0.667 0.333 0.091
0.333 0.667 0.420
0.667 0.333 0.580
0.000 0.000 0.266
0.000 0.000 0.734
```

Calculated values
**Formation enthalpy at 0 K**: -0.044 eV per atom
**SG**: No. 164
**Energy**: -57.05 eV/cell
**Polymorph energy (0 for the lowest one)**: 0.221 eV/atom

~~~~~

(1)
A plane-wave DFT calculation with PBE was carried out for PaSi4Rh2 after structural relaxation.

Computed properties:
Energy = -7.221 eV per atom
Formation energy without anion corrections = -0.665 eV per atom
DOS at the Fermi energy = 0.55 states/eV/atom
********
The text goes on =
For the time being, employers and employment lawyers alike will grapple with translating the notorious complexity of the SPL requirements into policies and guidance that are kept as clear and simple as possible.
We can also expect the debate to continue as to whether or not it amounts to discrimination under the Equality Act 2010 to pay enhanced pay to mums on maternity leave but not enhance the pay available to those on shared paternity leave. To date those arguments have been difficult to establish.
In Capita Customer Management Limited v Ali the EAT held, in April this year, that the appropriate comparator of a male employee on SPL was a female employee on SPL, holding no direct discrimination therefore arose. Hot on the heels of that case was the EAT decision three weeks later in Hextall v Chief Constable of Leicestershire Police looking at the question of indirect discrimination and whether non-enhanced SPL placed men seeking leave to care for a new-born child at a disadvantage compared to a woman in similar circumstances. The decision in Hextall does not determine this interesting question as it found the Employment Tribunal had failed to properly identify the disadvantage being argued for and the relevant pool for comparison and remitted the case back for reconsideration by a fresh Tribunal.
However, what does emerge from the decision is that the hurdle of disparate impact within indirect discrimination claims seems likely to be cleared, with the real battleground in such cases focusing on whether an employer can objectively justify any differential treatment between maternity leave and shared parental leave.
+++
--- w ---
TbGdNi4 | PBE | optimized geometry

Geometry as POSCAR:
```
TbGdNi4
1.0
2.674 -4.633 0.000
2.674 4.633 0.000
0.000 0.000 8.091
Gd Ni Tb
2 8 2
Cartesian
2.674 -1.545 4.045 Gd
2.674 1.545 4.045 Gd
2.674 -1.544 0.000 Ni
2.674 1.544 0.000 Ni
1.337 -2.317 1.810 Ni
1.337 2.317 1.810 Ni
2.674 0.000 1.810 Ni
2.674 0.000 6.281 Ni
1.337 -2.317 6.281 Ni
1.337 2.317 6.281 Ni
0.000 0.000 0.000 Tb
0.000 0.000 4.045 Tb
```

Results
spin magnetization: 0.4 μB per formula unit
SG: P6/mmm, No. 191

--- x ---
TbGdNi4 | PBE | optimized geometry

Geometry as POSCAR:
```
TbGdNi4
1.0
-0.659 1.461 -5.130
2.278 -4.723 1.177
-7.260 -3.519 -0.070
Gd Ni Tb
2 8 2
Cartesian
0.000 0.000 0.000 Gd
-3.630 -1.760 -0.035 Gd
0.320 -0.600 -3.027 Ni
1.299 -2.662 -0.925 Ni
-1.967 -0.063 -2.581 Ni
-0.499 -3.155 0.573 Ni
-0.828 -2.425 -1.992 Ni
-5.952 -1.995 -2.619 Ni
-4.484 -5.087 0.535 Ni
-4.813 -4.356 -2.030 Ni
-3.310 -2.360 -3.062 Tb
-2.331 -4.421 -0.960 Tb
```

Results
spin magnetization: 0.0 μB per formula unit
SG: P6/mmm, No. 191

The structure with the most favorable energy is x; the runner-up is 0.020 eV/atom above it.

--- w ---
GdTlNiTe3 | PBE | optimized geometry

Geometry as POSCAR:
```
GdTlNiTe3
1.0
12.596 0.000 0.000
0.000 4.264 0.000
0.000 0.000 12.764
Gd Ni Te Tl
4 4 12 4
Cartesian
5.797 2.132 2.452 Gd
12.095 2.132 3.929 Gd
0.501 0.000 8.834 Gd
6.799 0.000 10.311 Gd
9.651 0.000 2.328 Ni
3.353 0.000 4.053 Ni
9.243 2.132 8.710 Ni
2.945 2.132 10.435 Ni
7.520 0.000 0.828 Te
12.132 0.000 1.747 Te
2.677 2.132 2.836 Te
8.975 2.132 3.546 Te
5.833 0.000 4.635 Te
1.222 0.000 5.554 Te
11.374 2.132 7.210 Te
6.763 2.132 8.128 Te
3.621 0.000 9.218 Te
9.919 0.000 9.928 Te
0.465 2.132 11.017 Te
5.076 2.132 11.935 Te
10.125 2.132 0.009 Tl
3.827 2.132 6.373 Tl
8.769 0.000 6.391 Tl
2.471 0.000 12.754 Tl
```

Results
spin magnetization: 0.0 μB per formula unit
SG: Pnma, No. 62

--- x ---
GdTlNiTe3 | PBE | optimized geometry

Geometry as POSCAR:
```
GdTlNiTe3
1.0
8.006 -2.073 0.000
8.006 2.073 0.000
0.000 0.000 11.096
Gd Ni Te Tl
2 2 6 2
Cartesian
0.000 0.000 0.000 Gd
0.000 0.000 5.548 Gd
7.666 0.000 2.774 Ni
8.346 0.000 8.322 Ni
5.916 0.000 0.905 Te
1.212 0.000 2.774 Te
5.916 0.000 4.643 Te
10.097 0.000 6.453 Te
14.800 0.000 8.322 Te
10.097 0.000 10.191 Te
11.979 0.000 2.774 Tl
4.034 0.000 8.322 Tl
```

Results
spin magnetization: 0.0 μB per formula unit
SG: Cmcm, No. 63

The structure with the most favorable energy is x; the runner-up is 0.024 eV/atom above it.

--- w ---
GdNp | PBE | optimized geometry

Geometry as POSCAR:
```
GdNp
1.0
-3.479 -2.516 0.016
-3.181 0.717 -2.794
-0.679 -2.745 -3.231
Gd Np
1 1
Cartesian
0.000 0.000 0.000 Gd
-1.835 -1.136 -1.502 Np
```

Results
spin magnetization: 3.8 μB per formula unit
SG: F-43m, No. 216

--- x ---
GdNp | PBE | optimized geometry

Geometry as POSCAR:
```
GdNp
1.0
3.341 0.000 0.000
-1.671 2.893 0.000
0.000 0.000 5.742
Gd Np
1 1
Cartesian
1.671 0.964 4.307 Gd
0.000 1.929 1.436 Np
```

Results
+++
== The crystal structures stop here ==
Most are in agreement that shared parental leave has the potential to be much more transformative than it has been to date. Whether the reform which emerges from the current review of the present system will be bold enough, or whether new mums will continue to be left holding the baby, is another question.
Alan Delaney is also a director on the board of Fathers Network Scotland.